

**Someone pasted records of molecules at this point:**
-- begin --
# 1
The following is a quantum chemistry calculation of a cluster of 7 separate species, C23H39ClN4O10 in total at a distorted geometry, from the Open Molecules 2025 dataset.

```
77
Properties=species:S:1:pos:R:3:forces:R:3
Cl 2.836350 -4.002825 -0.911969 0.8786 -0.2085 0.9953
O 2.881899 4.956493 -0.624393 0.0543 -0.0203 0.0861
O -1.439968 -5.478115 -1.924425 -0.1435 0.1395 -0.1828
O 4.102572 -3.728418 -1.547273 -0.2838 0.1207 -0.2501
O 1.975577 -2.838219 -0.995403 -0.3327 0.3890 -0.1795
O -1.377734 -3.680169 -3.117344 -0.0983 -0.1129 0.0448
O -2.095632 4.116186 2.464642 0.0985 -0.1292 0.2525
O 2.190687 -5.121028 -1.554469 -0.2115 -0.0384 -0.1707
O -3.936387 3.225306 1.798896 0.0314 -0.1135 0.2492
O 3.077924 3.248545 0.663620 -0.0344 -0.2773 0.1840
O 3.081941 -4.299392 0.488856 -0.3627 0.0121 -0.5035
N 3.443590 4.323279 0.247024 -0.0549 0.4257 -0.2077
N -3.305883 4.052879 2.429078 0.0079 0.2795 -0.8603
N -0.955786 0.239030 0.132113 -0.3971 0.0980 -1.2148
N -1.145236 -4.860241 -2.925293 0.3494 -0.1601 0.0287
C -2.039225 -1.568866 4.518659 -0.8478 0.0395 0.2613
C 4.676890 4.943867 0.841256 -0.0275 -1.2377 -0.5386
C -4.063997 5.130752 3.101793 -0.2572 0.2477 0.5462
C 0.968199 1.028375 -1.109831 -0.1029 0.1451 -0.1781
C -1.330773 1.512512 -0.550006 -0.6705 0.8129 -0.3110
C -0.030411 2.204757 -0.957621 0.1672 -1.2036 1.2869
C -4.110676 -0.345943 4.784868 -0.3130 -0.7219 0.1536
C 4.281097 2.594049 -4.494697 0.3852 0.2367 0.9147
C -2.750837 -3.172494 0.349804 -0.3070 -0.5515 0.1637
C 3.711247 0.558456 -3.338259 -0.1484 -0.0684 0.0998
C -2.786079 -2.699003 4.206272 0.5995 -0.2357 -0.2679
C -4.831644 -1.520402 4.556869 -0.0660 0.2127 -0.2478
C -2.725839 -0.395384 4.828054 0.4053 0.4706 -0.2503
C -4.176568 -2.690700 4.205074 0.3930 0.0656 0.4882
C -0.673555 0.495051 1.551049 -0.1991 -0.2930 0.2445
C 5.858566 0.775545 -4.401264 -0.1525 0.8309 -0.2997
C -2.073447 -0.760584 -0.005143 0.5949 -0.6640 0.2135
C 3.396618 1.853259 -3.704362 0.1568 0.6038 -0.7441
C 4.930127 0.009350 -3.719248 0.5009 -0.2487 0.1659
C 5.536203 2.083453 -4.775473 0.0291 -0.5053 -0.2925
C 0.265586 -0.249249 -0.630308 0.1659 1.2206 0.2088
C -1.671769 -2.114804 0.538192 0.4781 -0.6312 0.6493
C -0.356130 -5.600027 -3.982804 -0.1127 0.9140 1.2101
H 3.026457 -0.020162 -2.733455 0.0605 -0.1530 -0.0487
H -3.324695 -3.358624 1.261252 -0.1031 0.4156 -0.0040
H -0.063720 -0.802195 -1.502611 -0.0316 -0.6249 0.3779
H -2.224484 -0.861078 -1.078204 -0.3578 0.1312 0.0041
H -3.812253 6.090106 2.659033 0.1890 -0.1438 -0.2284
H -3.753171 5.158873 4.143321 -0.0160 -0.1113 -0.0123
H 5.085535 4.200349 1.517153 -0.1914 0.2982 0.4384
H 5.380157 4.999655 0.013659 -0.0978 0.5972 -0.0287
H -0.322928 -0.440364 1.970941 0.1075 0.1134 0.2699
H 0.280317 2.789780 -0.093165 0.1113 0.6111 -0.4736
H 0.064310 1.279547 1.686446 0.0118 0.0653 -0.1510
H -1.944520 2.112837 0.124458 0.0787 -0.0815 0.1085
H -3.454551 -2.933554 -0.448896 0.0781 -0.0222 -0.0737
H -2.309237 -4.142751 0.127877 0.0909 0.1256 -0.2889
-- stop --

Is a premarital agreement really a blueprint for divorce?

Is a premarital agreement really a blueprint for divorce?

When you’re planning to marry the love of your life, the last thing you want to do is prepare for the possibility of divorce. Isn’t such a move unromantic? Doesn’t it suggest that you’re harboring some doubts even while you’re checking out wedding locations and catering menus?

While it’s true that premarital agreements, also known as prenuptial agreements or ‘prenups,’ address subjects like property division and spousal maintenance in the event that the marriage does not work out, they can actually make your relationship stronger. In this blog, we’ll review four top misconceptions about premarital agreements (including the one that they are a blueprint for divorce) and explain the truth in each case.

Myth #1: A premarital agreement means that you expect the marriage to fail
Those who are against prenups insist that they are a not-so-subliminal suggestion that you think the marriage won’t last. On the contrary, they are an investment in the success of your shared future. Too many marriages end in divorce because the spouses had different hopes and expectations and never voiced them until it was too late. When you put a prenup together, you get on the same page before you even say “I do,” which sets the stage for a long and happy life together.

Myth #2: If you want a premarital agreement, you don’t trust your fiancé(e)
This is one of the biggest assumptions about prenups. If you want your fiancé(e) to sign one, it means that you don’t trust him or her and want to make sure your property and financial interests are protected if your suspicions are proved correct. 

The truth is that a prenuptial agreement can strengthen the trust between you because you talk about important things like money and clarify expectations in advance. The level of honesty needed to put a fair and legally valid agreement together can actually bring you closer together and set the stage for a successful marriage.

Myth #3: Premarital agreements put one spouse at a disadvantage
While it is true that the rich and famous once used premarital agreements to deprive a less-wealthy spouse of their fair share of the marital estate, a one-sided contract is not likely to be enforced by courts today. Instead, couples use them to decide for themselves how their assets will be divided if the marriage doesn’t work out. For example, you can specify that you will keep your family business and give your spouse a piece of marital property of equal value.

Myth #4: A premarital agreement is never enforceable
Another misconception that people have about premarital agreements is that they aren’t legally binding. This may be the case if one spouse was deceived or pressured into signing or the agreement itself heavily favors one party over the other, but if it is fair and drafted in accordance with the law, it will stand up in court.

While discussing prenuptial agreements can be difficult, don’t let unfounded fears prevent you from sitting down with your fiancé(e) and protecting your futures, individually and as a couple. At the Law Office of Sheena Benjamin-Wise, P.A., we will help you understand your rights and responsibilities and create a contract that can make your union stronger and more loving than ever. To schedule a confidential consultation, please contact us at wiselawoffice.com.